Sweet but Scary


The children screamed in unison, “Ah, come on mommy, tell us a story, pleeeeeze!”

They all were gathered around the table, pumpkin guts piled in a bowl with a pumpkin glowing right beside it.

“Well,” she said in her most hoarse growl, ‘it was a long long time ago on Halloween night, when the drought of Hagen Moore had hung precariously in the skies for months, leaving the land withered and brown.”

She paused, all eyes were on her, their big orbs lit only by the flickering light from the pumpkin and taking a deep breath she continued, “Wicked was the witch’s trail as she ambled through the dark and haunting forest, her throaty cackle piercing the night. Above, glowing eyes peered out of the blackness, green and menacing they watched the witch wander forward in a peculiar gait, the moon’s midnight presence obscured by the tall crooked trees with long craggy branches holding tightly to their dead leaves.

“A howl sounded in the distance and the witch stopped. The glowing eyes continued to gaze at her long wrinkled face that displayed years of nightly wantonness, her mouth putrid with crooked decayed teeth. Her pustule skin sagged on either side of her broken nose that shot out of her face like a rickety roller-coaster ready to collapse.

“Another howl echoed through the darkness and she nodded her head in a certain knowing that foretold of some un-worldly occurrence ready to unfold. She greedily continued on down the path certain that prevalent evil was hers at last.

“The eyes watching blinked then launched out of the tree, wings stealthily gliding its body past the old woman only to land on another limb and become witness to the malevolence below. He hooted his presence and settled precariously into his silent watch.

“At last she approached her big black cauldron sitting ominously with filthy spider webs and gruesome bones littered around it. It was then her knarled hands curled around a fairly large bag filled with a granular substance. She held it up and her curdled laugh rang loud and long. Her hunchbacked figure blinked in and out as lightening danced its frenetic mayhem and thunder exploded all around in rolling octaves.

“‘Fiddledee fife and gargly goop’ the loathsome witch cried out. ‘This substance is no better than panther poop.’

“Skeletal fingers slowly pulled the string that tied the bag.

“‘It bombards the cells and increases the insulin; the kids go crazy with this stuff all inside ‘em.’

“The cauldron bubbled with intensity, its yellow thickness giving way to tiny screams with each burst. Slowly she tilted the bag and poured the white stuff into the mix chanting in an evil lilt, ‘Bartalee beez, rippity ride, this stuff keeps the mold off a Twinkee’s hide … while immunity’s lost and on come the colds, it can even give teeth its cavity holes!’

“She shook out the last of its contents and then whispered into the pot, ‘Put it in cereal, sauces and soups; then dump it in candies to make sparkling loot.’

“Lightening flashed and revealed the garrulous mixture boiling up over the pot. An explosion burst forth, thunder cracked and then …”

“And then what, Mommy!” cried the kids, deliciously enraptured and equally scared.

“And then,” the mom paused to look into each of their eyes, “and then the wicked old hag threw her wrinkly arms up and declared, ‘This innocent sweetness so many find addictive, let them eat it with pleasure and bring them much sickness! Obesity, diabetes, and heart disease I call, this white stuff named “sugar” holds danger for all!’

The kids squealed as the mom jumped up and twisted up her face into a contorted lop-sided grimace. The kids scattered across the room giggling and laughing and rolling about. “What’s sugar, Mommy?” one of the kids soon asked.

The mom sat back down and said, “A long time ago it used to be put into many types of food to make people like the food and eat more of it so the companies who sold the food could sell even more. But finally people got smart and realized eating lots of food with lots of sugar can cause bad things to happen to the body, and they demanded healthier treats. Sugar was just not a good thing.”

“Oooh,” they all said in unison.

“Mom?” another one asked.

Inserted here: data records:
~~~
No. 1
CdSiAs2O | PBE | optimized geometry

abc: 4.6699 5.1228 4.6699
angles: 90.00 90.00 90.00
With the nearest neighbours (Å) after each atom.
Sites, in units of the cell vectors:
Cd  0.0000  0.5000  0.0000  2 Si 2.56
Si  0.0000  0.0000  0.0000  4 As 2.33, 2 Cd 2.56
As  0.5000  0.0000  0.0000  2 Si 2.33
As  0.0000  0.0000  0.5000  2 Si 2.33
O  0.5000  0.5000  0.5000  4 Cd 3.30, 8 As 3.47

As for the total magnetization: 0.000 μB/atom. The value obtained for the energy relative to the elements, uncorrected is 933 meV/atom.



No. 2
CdSiAsO6 | PBE | optimized geometry

abc: 4.8620 4.8620 9.7688
angles: 90.00 90.00 120.00
With the nearest neighbours (Å) after each atom.
Sites, in units of the cell vectors:
Si  0.3333  0.6667  0.7500  6 O 1.80
Si  0.6667  0.3333  0.2500  6 O 1.80
O  0.0093  0.3779  0.6478  1 Si 1.80, 1 As 1.86
O  0.6314  0.0093  0.3522  1 Si 1.80, 1 As 1.86
O  0.6314  0.6221  0.1478  1 Si 1.80, 1 As 1.86
O  0.0093  0.6314  0.8522  1 Si 1.80, 1 As 1.86
O  0.3779  0.0093  0.1478  1 Si 1.80, 1 As 1.86
O  0.6221  0.6314  0.6478  1 Si 1.80, 1 As 1.86
O  0.3686  0.3779  0.8522  1 Si 1.80, 1 As 1.86
O  0.9907  0.3686  0.1478  1 Si 1.80, 1 As 1.86
O  0.3779  0.3686  0.3522  1 Si 1.80, 1 As 1.86
O  0.6221  0.9907  0.8522  1 Si 1.80, 1 As 1.86
O  0.9907  0.6221  0.3522  1 Si 1.80, 1 As 1.86
O  0.3686  0.9907  0.6478  1 Si 1.80, 1 As 1.86
Cd  0.0000  0.0000  0.5000  6 O 2.32
Cd  0.0000  0.0000  0.0000  6 O 2.32
As  0.6667  0.3333  0.7500  6 O 1.86
As  0.3333  0.6667  0.2500  6 O 1.86

As for the total magnetization: 0.118 μB/atom. The value obtained for the energy relative to the elements, uncorrected is -1511 meV/atom.



No. 3
SmCdAsO5 | PBE | optimized geometry

abc: 6.2096 6.2096 8.2759
angles: 108.68 108.68 95.31
With the nearest neighbours (Å) after each atom.
Sites, in units of the cell vectors:
Sm  0.0000  0.0000  0.0000  6 O 2.26-2.39
Sm  0.0000  0.0000  0.5000  6 O 2.26-2.39
As  0.3521  0.6479  0.7500  4 O 1.71-1.74
As  0.6479  0.3521  0.2500  4 O 1.71-1.74
O  0.2210  0.7258  0.9067  1 As 1.71
O  0.3003  0.3463  0.6425  1 As 1.74
O  0.7258  0.2210  0.4067  1 As 1.71
O  0.7790  0.2742  0.0933  1 As 1.71
O  0.6997  0.6537  0.3575  1 As 1.74
O  0.3463  0.3003  0.1425  1 As 1.74
O  0.6537  0.6997  0.8575  1 As 1.74
O  0.2742  0.7790  0.5933  1 As 1.71
O  0.9018  0.0982  0.7500  1 Cd 2.05, 2 Sm 2.26
O  0.0982  0.9018  0.2500  1 Cd 2.05, 2 Sm 2.26
Cd  0.6786  0.3214  0.7500  3 O 2.05-2.27
Cd  0.3214  0.6786  0.2500  3 O 2.05-2.27

As for the total magnetization: 0.000 μB/atom. The value obtained for the energy relative to the elements, uncorrected is -1925 meV/atom.


(1)
Tm4Tl3Cd2 | PBE | optimized geometry

Lattice parameters (Å, degrees): 8.9656 5.1363 10.3422 90.00 90.69 90.00
Space group C2/m (No. 12)
One atom of each set of equivalent atoms:
1 Tm 0.0011 0.0000 0.3263 [4 per cell]
2 Tm 0.1659 0.5000 0.8893 [4 per cell]
3 Tl 0.0000 0.0000 0.0000 [2 per cell]
4 Tl 0.1660 0.5000 0.5636 [4 per cell]
5 Cd 0.1672 0.5000 0.2061 [4 per cell]
~~~


“What’s a Twinke\ie?”

“Ah, well that’s another story for another time. Off to bed with you my little ghoulies – and Happy Halloween.”